~~~
CoGeBr2: relaxed, GGA-PBE.

Summary:
**Volume**: 25.104 Å³/atom
**Energy above the most stable polymorph in this dataset**: 0 kJ/mol of formula units
**Theoretical density**: 4.8 g/cm³
**Formation energy (no corrections)**: -0.0126 eV/atom
**Space-group type**: I-42d

Cell: 7.011 7.011 7.011 Å, 96.10 96.10 141.95°
Element x y z (fractional)
1 Co 0.000 0.000 0.000
2 Co 0.750 0.250 0.500
3 Ge 0.250 0.750 0.500
4 Ge 0.500 0.500 0.000
5 Br 0.375 0.214 0.339
6 Br 0.786 0.125 0.161
7 Br 0.875 0.036 0.661
8 Br 0.964 0.625 0.839

----------

[1]
First-principles (PBE-GGA) data for a relaxed structure of Mn2ZnAsS, as listed in Alexandria via LeMat-Bulk.

a b c (Å): 4.4451 4.4451 4.6199
angles (deg): 90.00 90.00 90.00
With the nearest neighbours (Å) after each atom.
Space group P4/mmm (No. 123)
Symmetry-distinct sites (fractional):
Mn (0.0000, 0.5000, 0.0000) x2  2 S 2.22
Zn (0.0000, 0.0000, 0.5000) x1  2 S 2.31
As (0.5000, 0.5000, 0.5000) x1  4 Zn 3.14, 8 Mn 3.21
S (0.0000, 0.0000, 0.0000) x1  4 Mn 2.22, 2 Zn 2.31


[2]
First-principles (PBE-GGA) data for a relaxed structure of ZrMnAs2S, as listed in Alexandria via LeMat-Bulk.

a b c (Å): 5.2309 5.2309 4.8766
angles (deg): 90.00 90.00 90.00
With the nearest neighbours (Å) after each atom.
Space group P4/mmm (No. 123)
Symmetry-distinct sites (fractional):
Zr (0.0000, 0.0000, 0.0000) x1  2 S 2.44, 4 As 2.62
Mn (0.5000, 0.5000, 0.5000) x1  8 As 3.58, 4 S 3.70
As (0.0000, 0.5000, 0.0000) x2  2 Zr 2.62
S (0.0000, 0.0000, 0.5000) x1  2 Zr 2.44


[3]
First-principles (PBE-GGA) data for a relaxed structure of MnSbAs2, as listed in Alexandria via LeMat-Bulk.

a b c (Å): 6.7792 3.9019 6.7893
angles (deg): 90.00 109.41 90.00
With the nearest neighbours (Å) after each atom.
Space group C2/m (No. 12)
Symmetry-distinct sites (fractional):
Mn (0.0000, 0.0000, 0.0000) x2  6 As 2.65
Sb (0.0000, 0.5000, 0.5000) x2  6 As 2.90
As (0.2386, 0.5000, 0.2166) x4  3 Mn 2.65, 3 Sb 2.90


[4]
First-principles (PBE-GGA) data for a relaxed structure of MnSbAs2, as listed in Alexandria via LeMat-Bulk.

a b c (Å): 2.9968 2.9968 8.4192
angles (deg): 90.00 90.00 90.00
With the nearest neighbours (Å) after each atom.
Space group P4/mmm (No. 123)
Symmetry-distinct sites (fractional):
Mn (0.0000, 0.0000, 0.0000) x1  8 As 2.55
Sb (0.0000, 0.0000, 0.5000) x1  4 Sb 3.00
As (0.5000, 0.5000, 0.1688) x2  4 Mn 2.55, 1 As 2.84


[5]
First-principles (PBE-GGA) data for a relaxed structure of MnSbAs2, as listed in Alexandria via LeMat-Bulk.

a b c (Å): 5.8756 5.8756 11.2806
angles (deg): 90.00 90.00 90.00
With the nearest neighbours (Å) after each atom.
Space group I-42d (No. 122)
Symmetry-distinct sites (fractional):
Mn (0.0000, 0.0000, 0.0000) x4  4 As 2.29
Sb (0.0000, 0.0000, 0.5000) x4  4 As 2.78
As (0.1776, 0.2500, 0.1250) x8  2 Mn 2.29


[6]
First-principles (PBE-GGA) data for a relaxed structure of MnSbAs2, as listed in Alexandria via LeMat-Bulk.

a b c (Å): 8.3825 3.2777 6.1807
angles (deg): 90.00 109.17 90.00
With the nearest neighbours (Å) after each atom.
Space group Cm (No. 8)
Symmetry-distinct sites (fractional):
Mn (0.0000, 0.0000, 0.0000) x2  5 As 2.42-2.46
Sb (0.1222, 0.5000, 0.3721) x2  2 Mn 2.73, 2 As 2.88-2.92
As (0.2916, 0.0000, 0.0146) x2  3 Mn 2.42, 1 As 2.66
As (0.4331, 0.0000, 0.6864) x2  2 Mn 2.46, 1 As 2.66


[7]
First-principles (PBE-GGA) data for a relaxed structure of MnSbAs2, as listed in Alexandria via LeMat-Bulk.

a b c (Å): 3.2251 3.2251 7.4850
angles (deg): 90.00 90.00 90.00
With the nearest neighbours (Å) after each atom.
Space group P4mm (No. 99)
Symmetry-distinct sites (fractional):
Mn (0.0000, 0.0000, 0.0000) x1  5 As 2.55-2.78
Sb (0.5000, 0.5000, 0.2473) x1  4 Mn 2.94, 1 As 3.00, 4 Sb 3.23
As (0.0000, 0.0000, 0.6290) x1  1 Mn 2.78, 4 As 2.80
As (0.5000, 0.5000, 0.8465) x1  4 Mn 2.55, 4 As 2.80


[8]
First-principles (PBE-GGA) data for a relaxed structure of Mn2SbAs2, as listed in Alexandria via LeMat-Bulk.

a b c (Å): 4.2499 4.2499 9.2137
angles (deg): 90.00 90.00 90.00
~~~

Now filter the material further up: keep the lines with the word "Co".

1 Co 0.000 0.000 0.000
2 Co 0.750 0.250 0.500